So! What does he really mean?

There are times when I wonder if men and women should be together at all. In spite of our need for each other women never understand men...
But wait a minute; it's not the language, we just say things in a totally different way.
Now for the benefit of all you girls out there here is a very helpful list of things we men say and what we really mean when we say them. It may even assist in my endeavours and aspirations for the Nobel peace prize.
1 I’m not ready for a relationship.(This is a classic)
He means: I am always ready for a relationship with the girl of my dreams. But unfortunately you are not the one.
2 I can’t forget my ex. Be careful here he is probably still seeing her.
He means if I against all odds I should say that- then I really haven’t forgotten her. Will never give you everything. I want to cover my bets by going for everything in the hope of winning something and not loosing anything. For your own good: leave me!
Strange this always makes you girls even keener to be the one who tames me.
3 We’ll keep in touch.
He means: This is an attempt to be a hard catch or to wriggle out. Wait at least three days before you get in touch and don’t even send a little sms.If you then decide to get in touch and are met with silence. I am not interested.
4 What are you up to? (A little sms 2 o clock in the morning).
He means: I’m head over heels in love with you, ready to tattoo your name on my arse, kiss your feet, worship you forever and wear your ring.
But if it’s a Saturday night at 2 am it means nothing more than” Fancy shag?”
It also means that I’m drunk and am not worth a light in bed.
5 Nice Jeans
He means and: lets not beat about the bush here, that you have a fantastic arse and would love to get his hands on it. Enough said.
6 I’ll call;
He means: and read my lips, “I will call you”. That means that I don’t want you to call me. If you call it gives the impression of you being over interested and if I want to call I will. But I would prefer to see you out somewhere.
7 I would never lie to you.
He means; Of course I would. But to be so bloody silly and confess to that would release a monster and endless discussions. I fib about small things like “you look great without make-up” to I was home all night (when I was out with the boys).
Records of molecules that have nothing to do with the page:
Entry 1:
69
Properties=species:S:1:pos:R:3:forces:R:3 method="wB97M-V/def2-TZVPD" e_homo_ev="-12.80 / -12.80" orbital_gap_ev="3.26 / 3.26" e_tot_ev=-47380.321 total_charge=+2 e_lumo_ev="-9.5 / -9.5" mol_weight_g_mol=683.4
Bi 0.056 -0.122 -0.760 -0.8922 -0.0297 3.3137
C -1.386 -3.881 2.296 0.1834 0.7708 0.8019
C -0.936 -2.752 3.187 -0.2471 0.5701 -0.5683
C -0.280 -2.741 4.436 -0.7475 2.7524 -0.4683
C -0.179 -1.334 4.732 0.3188 -0.9882 -1.9534
C 0.231 -0.668 5.983 -0.3968 0.3952 -0.1197
N -0.542 -0.653 3.590 -0.7252 -0.2052 -0.3568
N -1.113 -1.519 2.690 0.9824 -0.0051 0.2736
B -0.290 0.820 3.128 -0.5742 -0.6198 0.5560
N -1.489 1.405 2.266 -0.7774 -0.7250 -1.2460
N -1.691 0.873 0.902 0.9227 -0.5605 1.5775
C -2.943 0.384 0.846 0.4336 0.7528 1.8128
C -3.266 -0.484 -0.317 -0.3883 0.1089 -1.0998
C -3.614 0.677 2.082 0.3254 -0.4017 -1.5369
C -2.706 1.341 2.895 -0.0591 0.0842 -1.4681
C -3.051 2.008 4.187 -0.9437 0.7380 -0.7801
N 0.957 0.939 2.164 1.4881 -1.3646 -1.6590
N 1.405 -0.104 1.280 -1.2007 -0.3449 -0.6012
C 2.661 0.183 0.799 0.8731 3.7927 1.7430
C 3.579 -0.692 -0.058 -1.4081 1.1735 0.4485
C 2.982 1.502 1.304 -0.7067 -1.6750 0.3569
C 1.870 1.900 2.153 1.5166 0.2686 -1.5024
C 1.578 3.264 2.717 1.3284 0.0848 1.1002
H -1.553 -4.708 2.970 0.1532 -0.7580 -0.4499
H -0.542 -3.980 1.608 -0.4087 -0.8222 -0.1539
H -2.334 -3.655 1.770 0.6348 0.0285 0.2454
H 0.120 -3.542 5.016 -0.2809 -0.3381 0.3763
H -0.580 -0.132 6.505 0.1049 -0.4069 -0.2842
H 1.028 0.040 5.872 0.4727 0.4348 -0.3125
H 0.598 -1.450 6.586 0.3368 -0.7215 1.1831
H -0.139 1.402 4.188 0.1737 0.4070 -0.8249
H -4.327 -0.531 -0.661 0.7279 -0.1655 0.7915
H -2.830 -1.483 -0.132 -0.6139 0.1655 0.0878
H -2.754 -0.102 -1.219 -0.1106 0.0410 0.3270
H -4.636 0.390 2.314 0.2383 0.2668 -0.0102
H -2.680 1.414 4.997 0.3410 -0.0296 0.7393
H -4.175 1.927 4.192 1.1405 0.4953 0.4361
H -2.711 3.102 4.238 -0.4552 -1.7576 -0.0500
H 4.092 -1.447 0.505 0.2629 -0.2327 0.3894
H 4.255 -0.071 -0.644 0.1774 0.1020 0.4182
H 2.943 -1.137 -0.779 -0.2902 -1.0309 -0.6775
H 3.976 1.967 1.215 -0.8593 -0.0131 0.0280
H 2.211 4.051 2.235 -0.5281 -0.8192 0.4211
H 1.728 3.317 3.829 0.0719 -0.1365 -0.9918
H 0.541 3.472 2.569 -0.6915 0.2668 -0.2419
C 3.202 0.284 -5.461 -0.3401 1.2347 -0.8606
N 3.029 -0.406 -4.205 -1.0649 0.8291 1.1439
C 4.047 -1.378 -3.823 0.4691 -0.2261 -0.0746
C 2.000 -0.041 -3.442 1.0430 0.2058 0.2275
O 1.629 -0.675 -2.407 0.1745 0.3432 -0.2550
H 2.379 1.090 -5.501 1.5344 -1.1392 -0.3696
H 3.064 -0.456 -6.278 0.0579 0.6609 0.3634
H 4.231 0.724 -5.527 -1.0110 -0.2510 0.0111
H 3.610 -2.149 -3.231 -0.4944 -0.8591 0.0436
H 4.823 -0.978 -3.158 -0.1860 0.5633 -0.4025
H 4.539 -1.768 -4.729 -0.4020 0.0486 0.4553
H 1.542 0.970 -3.644 0.2264 -1.1841 -0.4341
N -2.140 1.559 -8.110 0.1574 -0.4792 2.2771
C -2.113 1.248 -6.985 -0.6470 0.2285 -2.1450
C -2.066 0.741 -5.638 -0.0225 0.6783 0.1826
C -1.838 1.621 -4.570 1.0309 0.1046 0.6711
C -1.379 1.111 -3.358 -0.2155 0.0763 -0.6512
N -1.311 -0.218 -3.128 0.6485 1.8689 1.2657
Nothing malicious meant other than an attempt to keep the peace.
8 Just friends?
He means: I’m not interested in you as a girl friend and I’m just saying it this way to make it easier. I have never managed to keep a girl as just a friend and this is a great way to drizzle away. But thanks for the sex.
9 What have I done wrong?
He means I have nothing better to say and don’t enjoy silence. Maybe I’ve made a complete jerk of myself or am completely innocent. You can also comfort me and tell me how much you care for me and see that I need reassurance. Look for the head drop and the pout.
10 That guy looked straight at you and smiled.
He means: Tell me that you only have eyes for me. I wouldn’t be bothered if the guy was drunk or ugly but he was a real hunk- and he undressed you with his eyes. Just convince me that you only want to be with me. You didn’t smile back did you? Why did he do that? Do you know him?
Well I hope that helps you girls to understand a little better. Just so we can make life easier.
We also don’t mind if you get a round of drinks from time to time. Become The Irresistible Woman today!
This research was carried out independently and has no bearing what so ever on my life or my experiences. You don’t really believe I would resort to this type of behaviour do you?
No I have kept myself above all this. Women and I have always had a complete understanding. Ask any of my seven wives and six hundred and twenty two girlfriends.